Creating Punchy Explosions in Atom Craft
Explosions are a staple of action games, but it can quite challenging getting the right level of impact. Loudspeakers can’t come close to matching the amplitude of an explosion, and even if they could, it would cause an actual explosion! However, by layering sounds and effects, we can emulate the impression of an explosion. This practice of layering and processing to create an effective illusion is what sound design is all about.
In this month’s blog, we will look at using ADX2’s REACT system in conjunction with AISACs to create the illusion of loudness. REACT is most often used to control a mix in real-time, making sure that the most important sounds are heard first. However, it can also be used as a creative tool, much like we would use compression.
This project was created using CRI Atom Craft V3.41.01
The REACT system works using two categories, the first represents the affected category (changing category), and the second represents the trigger (trigger category). When a Cue within the trigger category is played, the level of the changing category will be ducked by a user-defined amount. To set this up:
- Create a category named “Main” and:
- A sub-category named “Explosions”
Calculated molecules, kept here for reference:
/*
[1]
Entry from the OMol25 dataset: C3H12NaO3 as an isolated structure in a non-equilibrium geometry (wB97M-V/def2-TZVPD).

```
! RIJCOSX wB97M-V def2-TZVPD def2/J DEFGRID3
* xyz 1 1
Na 0.501 1.021 -1.070
C 2.457 -0.722 0.997
O 2.573 -0.263 -0.386
H 2.622 0.131 1.656
H 1.421 -1.059 1.019
H 3.124 -1.544 1.256
H 3.487 -0.385 -0.652
C -1.161 -1.727 -1.294
O -1.344 -0.380 -1.699
H -2.146 -2.077 -0.984
H -0.629 -2.323 -2.036
H -0.467 -1.662 -0.457
H -2.105 -0.239 -2.267
C -1.481 2.191 0.859
O -0.609 1.177 1.132
H -2.245 2.210 1.636
H -0.924 3.123 0.766
H -1.970 2.013 -0.099
H -1.103 0.516 1.623
*
```

HOMO energy ... -0.53568 hartree

***

[2]
Entry from the OMol25 dataset: a 3-piece molecular cluster, C3H12O2S overall (wB97M-V/def2-TZVPD).

```
! RIJCOSX wB97M-V def2-TZVPD def2/J DEFGRID3
* xyz 1 2
C -0.560 2.043 -0.341
C 0.517 1.156 0.284
C 1.040 0.116 -0.711
S 2.489 -0.687 -0.053
H -1.022 2.601 0.463
H -0.194 2.724 -1.097
H -1.356 1.408 -0.714
H 0.085 0.622 1.118
H 1.360 1.757 0.593
H 0.343 -0.623 -1.117
H 1.490 0.581 -1.608
H 2.717 -1.571 -1.050
H 0.619 -1.965 1.505
H -0.511 -2.460 2.422
O -0.313 -2.192 1.517
H -2.623 -0.478 -0.482
H -1.638 -1.612 -0.118
O -2.444 -1.420 -0.609
*
```

Expectation value of S² ... 0.7531
HOMO energy (spin up / spin down) ... -0.52773 / -0.52718 hartree

***

[3]
Entry from the OMol25 dataset: a 3-piece molecular cluster, C3H12O2S2 overall in a non-equilibrium geometry (wB97M-V/def2-TZVPD).

```
! RIJCOSX wB97M-V def2-TZVPD def2/J DEFGRID3
* xyz 0 1
C -0.893 0.879 -2.349
C 0.480 1.330 -1.905
S 1.068 0.915 -0.225
S -0.704 1.214 0.858
C -0.483 -0.024 2.185
H -0.942 -0.195 -2.460
H -1.713 1.248 -1.755
H -1.021 1.301 -3.352
H 0.660 2.393 -2.047
H 1.213 0.861 -2.556
H -0.794 0.427 3.118
H 0.577 -0.283 2.254
H -0.981 -0.934 1.867
O 2.065 -2.335 -0.073
H 2.179 -2.218 0.882
H 1.828 -1.459 -0.410
O -1.753 -2.632 0.603
H -2.167 -3.269 0.007
H -1.438 -1.899 0.061
*
```

HOMO energy ... -0.30382 hartree
Structure (SMILES) ... CCSSC.O.O

***

[4]
Entry from the OMol25 dataset: a 3-piece molecular cluster, C3H12O2S2 overall in a non-equilibrium geometry (wB97M-V/def2-TZVPD).

```
! RIJCOSX wB97M-V def2-TZVPD def2/J DEFGRID3
* xyz 0 1
C -1.348 1.031 -2.626
C -0.285 1.117 -1.615
S -1.075 1.519 -0.022
S -2.585 0.199 0.027
C -1.626 -1.299 0.633
H -1.885 0.093 -2.411
H -2.013 1.834 -2.493
H -0.892 1.063 -3.690
H 0.351 1.983 -1.800
H 0.246 0.091 -1.508
H -0.710 -0.838 1.153
H -1.245 -2.053 -0.159
H -2.222 -1.742 1.431
O 1.759 0.078 1.063
H 1.513 -0.850 0.867
H 1.065 0.401 0.441
O 3.312 -0.975 3.767
H 3.426 -0.273 3.093
H 4.215 -1.381 3.850
*
```

HOMO energy ... -0.33267 hartree
Structure (SMILES) ... CCSSC.O.O

***

[5]
Entry from the OMol25 dataset: a 3-piece molecular cluster, C3H12O2S2 overall in a non-equilibrium geometry (wB97M-V/def2-TZVPD).

```
! RIJCOSX wB97M-V def2-TZVPD def2/J DEFGRID3
* xyz 0 1
C -2.350 0.088 1.417
C -0.856 0.179 1.061
C -0.555 0.356 -0.395
S 1.283 0.252 -0.582
S 1.713 -0.275 -2.468
H -2.972 -0.592 0.870
*/
Here the text continues:
- A sub-category named “Ambience”
- Rename “AisacControl_00” to “ExplosionsDucker”
Right-click the REACT folder in the Project Tree to create a new REACT, and set the values in the Inspector to match the following:
These settings will give us a fast-acting envelope which will release more gradually over time. I have decided to use “FixedTime” since the explosion I have chosen won’t change in length. It also means the envelope won’t wait for the explosion to finish before returning, and will instead release while the tail of the explosion is fading.
To give our explosion context, we need to create an ambience layer against which we can contrast. This ambience layer will belong to our changing category. I’ve chosen to use some birdsong and the burbling of a river. Any consistent sound will work.
- Create a Polyphonic Cue named “Cue_Ambience”
- Add tracks and drop in waveforms for each ambience layer
- For each track:
- Set Biquad Filter:
- Type → “Low Pass”
- Cutoff → “1.00”
- Q → “1.25”
- Add AISAC and set:
- Control → “0: ExplosionDucker”
- Graph Type → “Biquad – Cutoff”
- A steep curve from 0 to 1
Records of molecules from another source follow.
- - -
Here is a molecular structure, C22H27BN6V from OMol25. Energies are from ωB97M-V/def2-TZVPD.

Its HOMO energy (spin up / spin down) is 1.2 / -0.5 eV. The expectation value of S² is 3.781. The calculation puts the energy above the lowest of the compared OMol25 structures with the same formula, charge and spin at 0.00 kcal per mole.

```
! wB97M-V def2-TZVPD RIJCOSX def2/J DEFGRID3
* xyz -2 4
V 0.76 0.64 0.13
B 3.33 -1.61 0.86
N 2.74 -1.77 -0.57
C 3.10 -2.65 -1.51
C 2.40 -2.36 -2.67
C 1.61 -1.26 -2.32
N 1.83 -0.91 -1.06
N 2.17 -1.62 1.89
C 1.99 -2.44 2.94
C 0.82 -2.06 3.59
C 0.35 -0.98 2.84
N 1.17 -0.72 1.83
H 3.94 -0.56 0.94
H 4.03 -2.58 1.09
H 3.83 -3.41 -1.29
H 2.43 -2.89 -3.61
H 0.88 -0.72 -2.90
H 2.70 -3.22 3.15
H 0.38 -2.51 4.47
H -0.55 -0.39 2.96
C -0.19 4.51 -0.56
C 1.09 3.81 -0.07
C 2.23 4.18 -1.04
C 1.45 4.39 1.32
N 0.93 2.41 0.00
H -0.07 5.60 -0.65
H -1.01 4.30 0.13
H -0.47 4.10 -1.54
H 2.40 5.27 -1.11
H 2.00 3.79 -2.03
H 3.16 3.70 -0.70
H 1.59 5.48 1.30
H 2.36 3.91 1.68
H 0.64 4.15 2.02
C -1.10 -4.17 -2.11
C -1.85 -3.11 -2.61
C -1.92 -1.91 -1.93
C -1.23 -1.71 -0.71
C -0.49 -2.79 -0.22
C -0.42 -3.99 -0.91
N -1.21 -0.47 -0.07
C -2.41 0.10 0.22
C -2.45 1.47 0.60
C -3.63 2.09 0.96
C -4.84 1.40 0.98
C -4.83 0.06 0.63
C -3.65 -0.58 0.26
H -1.03 -5.11 -2.65
H -2.38 -3.22 -3.55
H -2.49 -1.08 -2.33
H 0.05 -2.67 0.71
H 0.19 -4.80 -0.51
H -1.51 2.02 0.57
H -3.60 3.14 1.23
H -5.77 1.90 1.27
H -5.75 -0.52 0.65
H -3.68 -1.64 0.01
*
```

=====

Here is a molecular structure, C22H27Cl3FKNaO9S2 at a distorted geometry from OMol25. Energies are from ωB97M-V/def2-TZVPD.

Its HOMO energy is -9.7 eV.

```
! wB97M-V def2-TZVPD RIJCOSX def2/J DEFGRID3
* xyz 1 1
C 4.96 2.58 -0.92
C 4.51 1.10 -0.73
C 5.69 0.13 -1.12
C 5.77 -1.09 -0.12
C 5.68 -2.48 -0.82
C 4.23 -3.10 -0.82
C 3.75 -3.23 0.66
C 4.27 -4.27 1.54
C 3.88 -4.34 2.88
C 2.96 -3.38 3.35
C 2.40 -2.37 2.51
C 2.74 -2.22 1.15
S 2.03 -0.92 0.14
C 1.40 -1.40 3.21
O 0.41 -0.99 2.66
C 1.75 -1.08 4.65
C 2.27 -2.02 5.42
C 2.54 -3.40 4.83
O 2.45 -4.42 5.47
H 4.94 2.79 -2.00
H 5.99 2.66 -0.53
H 4.26 3.27 -0.42
H 3.59 0.79 -1.39
H 4.24 0.97 0.34
H 6.65 0.67 -1.05
H 5.50 -0.21 -2.16
H 5.03 -0.93 0.68
H 6.76 -1.04 0.36
H 6.36 -3.15 -0.26
H 6.08 -2.40 -1.84
H 3.63 -2.42 -1.44
H 4.29 -4.10 -1.28
H 5.00 -4.98 1.16
H 4.27 -5.09 3.57
H 1.07 -1.55 -0.61
H 1.56 -0.06 5.01
H 2.53 -1.85 6.47
Cl 2.28 2.12 -1.81
Na 1.87 -4.21 0.00
K 0.59 3.80 -2.79
C -5.17 4.44 -0.28
C -5.06 3.24 -1.17
O -4.03 3.61 -2.08
C -3.22 4.47 -1.39
O -2.13 4.77 -1.74
O -3.82 4.92 -0.27
F -6.21 3.03 -1.87
H -5.83 5.21 -0.69
H -5.50 4.19 0.72
H -4.78 2.32 -0.66
C -0.93 -0.05 -5.44
Cl -0.29 1.45 -6.11
Cl 0.09 -0.67 -4.13
H -1.93 0.14 -5.04
H -0.99 -0.79 -6.23
C -9.00 1.17 -0.91
C -8.15 1.61 0.27
O -9.03 1.60 1.38
S -10.13 0.43 1.18
O -9.71 -0.71 1.91
O -11.42 1.00 1.34
O -9.86 0.17 -0.38
H -9.61 2.00 -1.28
H -8.40 0.77 -1.72
H -7.72 2.60 0.13
H -7.35 0.89 0.47
*
```

=====
- - -
- Drag this Cue onto “Ambience” under Categories in the Project Tree
- Set Biquad Filter:
You can instead use a bandpass filter on the overall Cue, which will give the filter a more subtle effect. Using a biquad filter allows for the introduction of some resonance as the filter sweeps, giving it a more exaggerated effect. This decision is an aesthetic choice. However, simply leaving the Change Parameter on the default “Volume Level” parameter (and using neither forms of lowpass) sounds a bit unnatural for our needs, but it can be used without the need for adjusting AISACs at all.
Next, we need an explosion to control the filter on our ambience layers.
- Create a Random No Repeat Cue named “Cue_Explosion”
- Add tracks and drop in waveforms for each explosion
- Drag this Cue onto “Explosions” under Categories in the Project Tree
Our REACT ducking system should now be ready to audition. Open up the Session window and drag in the Cues. Make sure that the ambience is playing first, and then trigger the explosion. Once you’ve determined that it works, try tweaking the REACT’s envelope settings to find a sound that is sympathetic to the feel of the game. Using faster settings together with a gentler AISAC can help to make the explosion’s attack subtly pop out a bit more, without creating an exaggerated “underwater” effect.
In the demo I’ve created, I’ve additionally staggered the start time of the explosion waveform by 50ms so that there is a little space between the initial ducking of the ambience and the explosion. This space adds emphasis and gives the REACT time to react fully. I’ve also created a separate bus for explosions, adding in EQ, distortion, and a limiter. These effects are set up to make the sounds appear louder, and have the potential to be further driven by gameplay data at a later stage.
REACT is an excellent tool for cleaning up a mix and adding interesting interplay between sound categories. Used in combination with AISACs, REACT can be used as a creative tool for dynamic sonic sculpting. Also, unlike some of the other dynamic features offered by ADX2, the REACT system can be auditioned fully from within Atom Craft.